Entry 1:
Entry from Materials Project: crystalline Mg2MnP2O8 at its relaxed geometry (GGA+U).

Results
energy of formation	-2.894	eV per atom

abc: 9.0906 9.9556 9.6470
angles: 72.39 113.50 74.73
Last column: nearest neighbours and their distance in Å.
Atoms (fractional coordinates):
Mn 0.7500 0.9999 0.7500  6 O 2.14-2.33
Mn 0.4999 0.5000 0.9999  6 O 2.14-2.33
Mn 0.9999 0.5000 0.4998  6 O 2.14-2.33
Mn 0.2498 0.0000 0.2498  6 O 2.14-2.33
O 0.4060 0.5795 0.5488  1 P 1.56
O 0.5940 0.4205 0.4513  1 P 1.56
O 0.1666 0.8618 0.4021  1 P 1.57
O 0.5187 0.8482 0.4572  1 P 1.55
O 0.3832 0.3482 0.9447  1 P 1.55
O 0.0187 0.8482 0.9572  1 P 1.55
O 0.3691 0.7065 0.7301  1 P 1.54
O 0.2645 0.0795 0.6218  1 P 1.56
O 0.3334 0.1382 0.0979  1 P 1.57
O 0.2215 0.3619 0.4860  1 P 1.57
O 0.1169 0.6518 0.5555  1 P 1.55
O 0.1310 0.2936 0.7699  1 P 1.54
O 0.7216 0.3618 0.9861  1 P 1.57
O 0.7644 0.0795 0.1217  1 P 1.56
O 0.4813 0.1518 0.5428  1 P 1.55
O 0.8831 0.3482 0.4446  1 P 1.55
O 0.8692 0.7065 0.2301  1 P 1.54
O 0.6743 0.2066 0.8134  1 P 1.54
O 0.2355 0.9205 0.8783  1 P 1.56
O 0.2785 0.6382 0.0140  1 P 1.57
O 0.6666 0.8618 0.9021  1 P 1.57
O 0.9813 0.1518 0.0428  1 P 1.55
O 0.8257 0.7935 0.6866  1 P 1.54
O 0.7355 0.9205 0.3782  1 P 1.56
O 0.6169 0.6519 0.0555  1 P 1.55
O 0.3256 0.7935 0.1866  1 P 1.54
O 0.7785 0.6382 0.5140  1 P 1.57
O 0.0940 0.4205 0.9512  1 P 1.56
O 0.6309 0.2934 0.2699  1 P 1.54
O 0.1744 0.2065 0.3134  1 P 1.54
O 0.9060 0.5795 0.0487  1 P 1.56
O 0.8334 0.1382 0.5980  1 P 1.57
Mg 0.5796 0.1411 0.1879  5 O 1.99-2.18
Mg 0.4707 0.3589 0.5791  5 O 1.99-2.18
Mg 0.0796 0.1411 0.6880  5 O 1.99-2.18
Mg 0.5294 0.6410 0.4211  5 O 1.99-2.18
Mg 0.4203 0.8590 0.8120  5 O 1.99-2.18
Mg 0.9203 0.8589 0.3120  5 O 1.99-2.18
Mg 0.9707 0.3589 0.0790  5 O 1.99-2.18
Mg 0.0294 0.6410 0.9210  5 O 1.99-2.18
P 0.2310 0.3017 0.9367  4 O 1.54-1.57
P 0.2828 0.1983 0.4884  4 O 1.54-1.57
P 0.7689 0.6983 0.0632  4 O 1.54-1.57
P 0.2173 0.8017 0.0116  4 O 1.54-1.57
P 0.7310 0.3017 0.4367  4 O 1.54-1.57
P 0.7827 0.1983 0.9884  4 O 1.54-1.57
P 0.2690 0.6983 0.5633  4 O 1.54-1.57
P 0.7173 0.8017 0.5116  4 O 1.54-1.57


Entry 2:
Entry from Materials Project: crystalline SrMgMnP2O8 at its relaxed geometry (GGA+U).

Results
energy of formation	-2.965	eV per atom
relative energy among the computed polymorphs	0.0	meV per atom

abc: 6.9892 11.1301 9.5350
angles: 106.51 72.70 82.08
Last column: nearest neighbours and their distance in Å.
Atoms (fractional coordinates):
Mn 0.7212 0.5357 0.4414  6 O 2.08-2.28
Mn 0.7212 0.0356 0.4414  6 O 2.08-2.28
Mn 0.2788 0.9644 0.5585  6 O 2.08-2.28
Mn 0.2788 0.4644 0.5586  6 O 2.08-2.28
O 0.7363 0.7235 0.7904  1 P 1.55
O 0.2637 0.7765 0.2096  1 P 1.55
O 0.3450 0.4637 0.1087  1 P 1.55
O 0.4126 0.1279 0.6403  1 P 1.57
O 0.1278 0.3046 0.8656  1 P 1.52
O 0.8256 0.2180 0.4235  1 P 1.58
O 0.3450 0.9637 0.1087  1 P 1.55
O 0.0270 0.0528 0.7784  1 P 1.54
O 0.1844 0.5133 0.3907  1 P 1.58
O 0.2637 0.2765 0.2096  1 P 1.55
O 0.4233 0.8668 0.6958  1 P 1.58
O 0.0270 0.5528 0.7784  1 P 1.54
O 0.8156 0.4867 0.6093  1 P 1.58
O 0.9730 0.4472 0.2216  1 P 1.54
O 0.4126 0.6279 0.6403  1 P 1.57
O 0.1744 0.2820 0.5765  1 P 1.58
O 0.5874 0.8721 0.3597  1 P 1.57
O 0.1744 0.7820 0.5765  1 P 1.58
O 0.9730 0.9472 0.2216  1 P 1.54
O 0.7363 0.2235 0.7904  1 P 1.55
O 0.1278 0.8046 0.8656  1 P 1.52
O 0.5767 0.1332 0.3042  1 P 1.58
O 0.8256 0.7180 0.4236  1 P 1.58
O 0.6550 0.0363 0.8913  1 P 1.55
O 0.8156 0.9867 0.6093  1 P 1.58
O 0.8722 0.6954 0.1344  1 P 1.52
O 0.6550 0.5363 0.8913  1 P 1.55
O 0.5767 0.6332 0.3042  1 P 1.58
O 0.5874 0.3721 0.3597  1 P 1.57
O 0.8722 0.1954 0.1344  1 P 1.52
O 0.1844 0.0133 0.3907  1 P 1.58
O 0.4233 0.3668 0.6958  1 P 1.58
Mg 0.7308 0.3304 0.6539  4 O 2.00-2.04
Mg 0.2692 0.1696 0.3461  4 O 2.00-2.04
Mg 0.2692 0.6696 0.3461  4 O 2.00-2.04
Mg 0.7308 0.8304 0.6539  4 O 2.00-2.04
P 0.7212 0.2304 0.3008  4 O 1.52-1.58
P 0.7212 0.7304 0.3008  4 O 1.52-1.58
P 0.8082 0.0795 0.7716  4 O 1.54-1.58
P 0.2788 0.2696 0.6992  4 O 1.52-1.58
It remains to duplicate only the last part of the lines above, starting with the line that has "crystalline SrMgMnP2O8".
Entry from Materials Project: crystalline SrMgMnP2O8 at its relaxed geometry (GGA+U).

Results
energy of formation	-2.965	eV per atom
relative energy among the computed polymorphs	0.0	meV per atom

abc: 6.9892 11.1301 9.5350
angles: 106.51 72.70 82.08
Last column: nearest neighbours and their distance in Å.
Atoms (fractional coordinates):
Mn 0.7212 0.5357 0.4414  6 O 2.08-2.28
Mn 0.7212 0.0356 0.4414  6 O 2.08-2.28
Mn 0.2788 0.9644 0.5585  6 O 2.08-2.28
Mn 0.2788 0.4644 0.5586  6 O 2.08-2.28
O 0.7363 0.7235 0.7904  1 P 1.55
O 0.2637 0.7765 0.2096  1 P 1.55
O 0.3450 0.4637 0.1087  1 P 1.55
O 0.4126 0.1279 0.6403  1 P 1.57
O 0.1278 0.3046 0.8656  1 P 1.52
O 0.8256 0.2180 0.4235  1 P 1.58
O 0.3450 0.9637 0.1087  1 P 1.55
O 0.0270 0.0528 0.7784  1 P 1.54
O 0.1844 0.5133 0.3907  1 P 1.58
O 0.2637 0.2765 0.2096  1 P 1.55
O 0.4233 0.8668 0.6958  1 P 1.58
O 0.0270 0.5528 0.7784  1 P 1.54
O 0.8156 0.4867 0.6093  1 P 1.58
O 0.9730 0.4472 0.2216  1 P 1.54
O 0.4126 0.6279 0.6403  1 P 1.57
O 0.1744 0.2820 0.5765  1 P 1.58
O 0.5874 0.8721 0.3597  1 P 1.57
O 0.1744 0.7820 0.5765  1 P 1.58
O 0.9730 0.9472 0.2216  1 P 1.54
O 0.7363 0.2235 0.7904  1 P 1.55
O 0.1278 0.8046 0.8656  1 P 1.52
O 0.5767 0.1332 0.3042  1 P 1.58
O 0.8256 0.7180 0.4236  1 P 1.58
O 0.6550 0.0363 0.8913  1 P 1.55
O 0.8156 0.9867 0.6093  1 P 1.58
O 0.8722 0.6954 0.1344  1 P 1.52
O 0.6550 0.5363 0.8913  1 P 1.55
O 0.5767 0.6332 0.3042  1 P 1.58
O 0.5874 0.3721 0.3597  1 P 1.57
O 0.8722 0.1954 0.1344  1 P 1.52
O 0.1844 0.0133 0.3907  1 P 1.58
O 0.4233 0.3668 0.6958  1 P 1.58
Mg 0.7308 0.3304 0.6539  4 O 2.00-2.04
Mg 0.2692 0.1696 0.3461  4 O 2.00-2.04
Mg 0.2692 0.6696 0.3461  4 O 2.00-2.04
Mg 0.7308 0.8304 0.6539  4 O 2.00-2.04
P 0.7212 0.2304 0.3008  4 O 1.52-1.58
P 0.7212 0.7304 0.3008  4 O 1.52-1.58
P 0.8082 0.0795 0.7716  4 O 1.54-1.58
P 0.2788 0.2696 0.6992  4 O 1.52-1.58